**Data**
/*
1.
Below is a cluster of 13 separate species, C13H52N12O13 in total at a distorted geometry, with properties calculated with the ωB97M-V functional and the def2-TZVPD basis.

Summary:
Charge: 0
LUMO energy in eV: 0.05
HOMO level in hartree: -0.3156

Each line ends with the Mulliken charge.
Positions of all 90 atoms, in Å:
C1 -10.17954 -2.28487 -25.97622  0.25
O1 -10.23129 -2.94640 -27.20824  -0.63
N1 -10.51387 -2.82100 -24.84941  -0.02
N2 -9.67846 -1.08917 -25.81294  -0.56
H1 -10.66754 -3.86498 -24.83761  0.01
H2 -10.31923 -2.41073 -23.98468  0.26
H3 -9.32366 -0.55540 -26.63402  0.30
H4 -9.81726 -0.58970 -24.90421  0.24
C2 -12.34541 1.43367 -26.24627  0.48
O2 -13.50970 1.99863 -26.75734  -0.74
N3 -11.92278 0.24137 -26.55586  0.18
N4 -11.61275 2.11293 -25.43439  -0.44
H5 -12.65008 -0.27079 -27.05440  -0.26
H6 -11.17513 -0.25077 -26.13633  0.37
H7 -11.12663 1.58313 -24.72304  0.20
H8 -12.06557 2.94371 -25.11424  0.29
C3 -16.29294 -3.93539 -23.91334  -0.31
O3 -15.99251 -2.63230 -23.91545  -0.67
N5 -16.11335 -4.73397 -24.94626  0.45
N6 -16.68473 -4.50455 -22.84067  -0.13
H9 -16.11929 -4.20256 -25.85991  -0.68
H10 -16.46787 -5.67718 -25.06853  0.70
H11 -16.64359 -3.93140 -21.97265  0.37
H12 -16.80752 -5.57029 -22.68492  0.24
C4 -10.58379 -5.75487 -23.50015  0.17
O4 -11.54319 -5.83332 -22.50184  -0.71
N7 -10.96702 -5.47270 -24.69244  -0.21
N8 -9.31036 -5.69040 -23.26807  -0.33
H13 -11.95794 -5.58030 -24.86974  -0.23
H14 -10.35363 -5.72297 -25.47851  0.31
H15 -9.02773 -5.73580 -22.25506  0.31
H16 -8.54520 -5.46082 -23.99232  0.23
C5 -13.31316 -2.91588 -21.68656  0.51
O5 -12.17849 -2.85926 -20.94918  -0.79
N9 -13.36546 -3.78908 -22.64889  0.20
N10 -14.45193 -2.36615 -21.55595  -0.13
H17 -12.39344 -4.28083 -22.82910  -0.21
H18 -14.03292 -3.71293 -23.39305  0.38
H19 -14.48308 -1.65902 -20.86272  0.29
H20 -15.02493 -2.13076 -22.37265  0.01
C6 -13.63802 -7.07919 -25.49748  0.52
O6 -13.00492 -8.25904 -25.18336  -0.81
N11 -13.96688 -6.17308 -24.69704  0.17
N12 -14.00395 -6.74498 -26.69277  -0.30
H21 -14.09469 -6.47186 -23.69126  0.27
H22 -14.82518 -5.56391 -24.97080  -0.26
H23 -13.81725 -7.46307 -27.50504  0.27
H24 -14.38000 -5.79524 -26.89838  0.35
C7 -17.49890 -6.30846 -27.12622  -0.37
O7 -16.72668 -7.08807 -26.31558  -0.69
H25 -18.53542 -6.22847 -26.73880  0.26
H26 -17.55516 -6.87166 -28.02132  0.45
H27 -16.92666 -5.39281 -27.38787  -0.09
H28 -15.80969 -7.19695 -26.58610  0.33
C8 -18.14878 -2.97351 -27.30464  -0.90
O8 -16.86903 -2.82607 -26.85339  -0.22
H29 -18.57555 -2.07161 -27.74677  0.34
H30 -18.80905 -3.49527 -26.52370  0.26
H31 -18.14403 -3.74276 -28.05175  0.32
H32 -16.79968 -1.98052 -26.34092  0.15
C9 -14.43084 -0.80174 -28.58866  -0.81
O9 -14.37243 -0.95627 -27.21789  0.16
H33 -13.51730 -1.21926 -28.94572  0.30
H34 -14.63167 0.23227 -28.88663  0.23
H35 -15.19083 -1.45225 -29.00175  0.33
H36 -15.24992 -0.96536 -26.82521  -0.14
C10 -10.14552 -4.65781 -29.72620  -0.33
O10 -10.28182 -4.80784 -31.15957  -0.54
H37 -9.41947 -3.96102 -29.26851  0.30
H38 -9.77680 -5.53769 -29.26173  0.47
H39 -11.17351 -4.49918 -29.29828  -0.10
H40 -9.41446 -5.06476 -31.56370  0.30
C11 -13.01880 -3.80377 -26.80963  0.63
O11 -14.39937 -3.97256 -27.15539  -0.69
H41 -13.12876 -2.97820 -26.06822  -0.06
H42 -12.43334 -3.51658 -27.70463  -0.18
H43 -12.67326 -4.68174 -26.34318  0.33
H44 -14.66201 -3.08523 -27.37982  0.01
C12 -11.13892 -1.67820 -30.53377  -0.61
O12 -10.76950 -1.26095 -29.29908  -0.40
H45 -10.28235 -2.06486 -31.15338  0.22
H46 -11.56875 -0.75500 -30.95897  0.29
H47 -11.93996 -2.51243 -30.59860  0.17
H48 -10.47126 -2.04404 -28.91533  0.25
C13 -14.36852 -0.05745 -24.10241  0.31
O13 -15.31549 0.43289 -23.12321  -0.60
H49 -14.40168 -1.19217 -24.04031  -0.17
H50 -13.34345 0.20206 -23.88889  0.14
H51 -14.75095 0.23698 -25.10243  0.15
H52 -16.14958 0.56083 -23.49289  0.29


2.
Below is a cluster of 13 separate species, C13H52N14O13 in total at a distorted geometry, with properties calculated with the ωB97M-V functional and the def2-TZVPD basis.
*/

**Request**
Find "H10 -16.46787" and "-23.50015" in the data earlier on, and reproduce these two lines and those between.

**Written answer**
H10 -16.46787 -5.67718 -25.06853  0.70
H11 -16.64359 -3.93140 -21.97265  0.37
H12 -16.80752 -5.57029 -22.68492  0.24
C4 -10.58379 -5.75487 -23.50015  0.17